
Career Transitions – Diamond Programme

Career Transitions – Diamond Programme

This is a complete end-to-end solution that takes you along every step of the quest,  from where you are today until you start in the new career that is perfect for you.

Amaze forms an integral part of the whole process to ensure you realise your potential.

This program underpins long-term career planning and movement.

Ideally suited for those who are:

  • In need of practical support throughout the career transition process to guarantee it happens
  • Want someone to support, inspire and challenge you throughout the transition phase, and into the new career?
  • Being made redundant, view this as an opportunity to start afresh but need support to complete the move fully
  • Looking to examine all the elements, as it applies to them, that set exceptional performance apart within a career
  • Considering setting up a business on their own and need help to devise all the elements of a profitable practice
  • Less concerned with cost and are in a position to make the time and financial investment to ensure the right move.



**Next to the text, the page also holds data records:**
+++
# 1
Formula: C16H40LiN2O12P
Source: the OMol25 dataset
Level of theory: the ωB97M-V functional and the def2-TZVPD basis

The geometry in XYZ format:
```
72
Properties=species:S:1:pos:R:3:forces:R:3:lowdin_charge:R:1
C -1.02714 2.91749 -5.61071 1.5771 -0.9733 -1.6330 0.007
N -0.52114 1.68649 -4.93671 -3.6958 -1.8577 0.3303 -0.380
C -0.58814 0.47349 -5.90571 2.9152 3.1159 -1.2922 0.053
C 0.78986 1.85149 -4.47871 4.2509 3.2675 0.5300 -0.096
C -1.42714 1.30649 -3.70271 -1.0065 -2.7496 0.2470 -0.098
C -1.71014 2.38949 -2.68171 3.0177 -3.8703 3.8032 -0.233
O -2.61514 1.83749 -1.63171 1.0570 1.2201 -2.4212 -0.140
H -1.34514 3.73349 -5.02071 1.1769 0.9539 1.4303 0.098
H -1.93014 2.84449 -6.13771 -1.4667 -1.5913 -0.8471 0.092
H -0.26314 3.01749 -6.40271 -0.3224 1.2178 0.5295 0.111
H -1.57514 0.18149 -5.97171 -1.9266 -0.8298 -0.0805 0.070
H 0.12386 -0.31851 -5.61271 -0.5944 0.5319 0.0602 0.111
H -0.25814 0.98649 -6.89671 -0.4469 -1.4427 1.4071 0.132
H 1.18286 1.00949 -3.98271 -0.1095 -1.3598 0.5900 0.046
H 0.80786 2.67449 -3.65271 0.1968 -1.1610 -1.8795 0.139
H 1.59886 2.04449 -5.32871 -2.0190 0.0655 1.5053 0.157
H -0.82114 0.42449 -3.15271 -1.7433 1.8273 -1.2113 0.157
H -2.43414 0.88349 -4.10471 1.8966 0.5976 0.5010 0.170
H -2.34614 3.14249 -2.85971 -1.2858 3.4236 -2.0003 0.062
H -0.54814 2.65249 -2.36371 -3.0273 0.1656 0.2099 0.147
H -2.25114 0.96549 -1.12871 1.1550 0.4170 0.4571 -0.020
C 2.96286 -1.47851 -3.03371 1.4608 -1.1867 -1.4881 0.004
N 2.52486 -1.46551 -1.56671 0.2228 -1.1331 -0.2277 -0.331
C 1.62886 -2.62751 -1.16471 -0.5195 2.2606 3.0094 0.038
C 3.73386 -1.62451 -0.70571 -0.5644 0.0305 -1.8838 0.011
C 1.84686 -0.22451 -1.26171 -3.1232 2.6639 -1.3058 -0.132
C 1.61386 0.34449 0.16229 1.7167 0.9618 -1.1907 -0.292
O 0.72086 1.38849 0.32029 0.6704 -0.5023 -0.6640 -0.050
H 3.00386 -2.52651 -3.47771 0.2799 0.9522 1.3366 0.125
H 3.95986 -0.97051 -3.23971 -0.9868 -0.7709 1.0947 0.125
H 2.38086 -1.02251 -3.83271 -1.1869 0.5452 1.0478 0.070
H 1.97086 -3.54351 -1.48471 1.3951 -1.9212 -0.7101 0.074
H 0.60686 -2.51151 -1.48571 -0.4283 0.5290 -0.0341 0.080
H 1.67786 -2.50751 -0.00771 -0.8303 -0.7943 -2.1880 0.138
H 3.51386 -1.61551 0.30629 -1.0821 -1.3124 1.8579 0.088
H 4.34286 -0.78851 -0.67471 1.4075 1.9475 -1.2587 0.092
H 4.18086 -2.44951 -1.18271 1.1904 -1.2298 0.5628 0.103
H 0.78486 -0.31851 -1.72671 1.7126 0.4207 0.6700 0.152
H 2.46486 0.49949 -1.74271 0.1095 0.9363 -0.9265 0.114
H 2.55786 0.42849 0.69229 1.1255 2.1099 -0.4970 0.118
H 1.52386 -0.48951 0.67529 -3.0768 -4.3890 2.9494 0.033
H -0.19814 1.03249 0.00429 -0.0217 -0.5065 -0.0756 0.044
Li -1.65014 -0.33751 1.34529 -0.2945 -0.3729 0.6604 0.588
P -1.90114 -1.31351 -0.65171 1.6627 1.8743 5.6894 -0.156
O -0.88814 -1.80251 0.37329 4.1397 -3.5190 0.2596 -0.451
O -1.42814 0.21049 -0.37871 1.8987 3.6412 -3.3645 -0.478
O -2.99314 -1.11351 0.30229 -6.8404 -0.9485 1.3649 -0.414
O -2.01114 -1.82151 -1.98871 0.3651 -1.0271 -4.1777 -0.320
C 0.15086 1.34749 5.36429 -1.8252 -0.2086 0.5122 0.013
+++

Session Duration

2 to 3  sessions, each about two hours long. Most people feedback that an 8-to-10-week period is ideal to allow them to internalise the insights, validate them, research options, formulate a plan and be fully confident in their decisions and approach. If necessary, we can accelerate this process to be completed over a much shorter timeframe. These sessions are conducted at a time and place that suits you.


Subjects covered.    

  • We look to objectively determine the unique strengths that you have through the use of an online psychometric tool.
  • We spend time understanding what has been missing from your journey to date, what might be holding you back at this current moment in time and appreciating why the process is so important for you.
  • We develop a vision for what the ideal outcome would be and we craft a career vision that is 100% aligned. This is a powerful tool (almost like a compass) to allow you to open up to alternative approaches, methodologies, sectors and roles that you may not have even known existed.
  • We look at the approach and strategy that will best help you make a complete transition towards the successful outcome over the timeframe, address any issues preventing you from moving forward and formulate a plan, ( with steps and actions ), that will carry you through the process.
  • We will construct a plan that will be over short, medium- and long-term timeframes; all of which you know you would want to follow through on.


What’s unique about this option (and why do most people opt for this)?    

Amaze stay connected and involved until you achieve the outcome I want. In some cases, this can take a long period, especially where additional study or other people are involved or where the practicalities of your situation are more complex.


It’s a lifetime support guarantee 24×7; which means you are guaranteed to achieve the outcome but with no extra or hidden costs along the way.





From all the interventions we have worked with to date, we can assure you that….

  • There is always an answer, and it always works out.
  • You know some of the answers already; they are staring you in the face. You may be too close to recognise it.
  • Finding out what to do next week is easy; finding a practical framework for the future that you love, and are good at,  is hard.
  • A process like this depends on what you ‘do’, not what you ‘know’.
  • If you choose not to do anything, nothing will change and the gut feelings that gave rise to the way you currently feel will only intensify.
  • Rarely will the answers become clear as in an epiphany. It will be a “process”, rather than an event.
  • Given how unique we all are, nobody can (or has the right) to tell you what to do. But the conversation will open your eyes
  • The best time to do this is leaving school and deciding on future careers. The second-best time? Now!
  • When you find the way forward, your friends will collectively confirm that you are on the right path; and you will know it yourself.
  • For some, the cost of the service can be more than they thought. That’s understandable.  The feedback from those who deferred the decision or did not proceed is that there is also a price to be paid for making the “wrong decision” or “no decision” at all. And when you make the move you want, it will have been the best value you ever had in your life.
  • It will wreck your head to start a “discovery process” and not follow through to “make it happen”.